
G Suite Admin Training

Google Workspace Introduction for Administrators

  • What is Google Workspace
  • Google Workspace Editions: Google Workspace for Work / Education / Government / Non-Profit
  • Applications under Google Workspace
    SLA & Non-SLA Applications
  • Ease of Administration
  • Q & A session

User Management

  • Who is a user in Google Workspace?
  • User Management Methods
  • Creating/Modifying/Deleting/Suspending Users
  • User Deletion vs. Suspension
  • Exporting Users
  • User Privileges/Delegated Administration
  • Q & A

Securing your Google Apps

  • Two-Factor Authentication
  • Reset Password
  • Reset Sign-In Cookies
  • Enforce Password Change
  • Understanding Password Strength
    DKIM with Google Workspace
  • Domain-wide SSL Enforcement
  • TLS options while using Google Apps
  • Sharing within AND/OR outside the domain for applications
  • Understanding Single Sign-On authentication with Google Workspace
  • Restricted Delivery / Walled Garden
  • Q & A

Mail Management

  • Understanding Email flow types with Google Workspace Apps
  • Google Mail Severs
  • Inbound/Outbound gateway setup
  • IP White-listing
  • Restricting Email Delivery (Walled Garden)
  • Q & A

Dashboard Introduction for Administrators

  • Getting familiar with the interface
  • Understanding the Google Workspace Dashboard
  • Adding Additional Google services
  • Accessing Applications through the Dashboard
  • Looking at User count and requesting more users
  • Apps Status and Apps Status Dashboard
  • Q & A

Organizational Units (OU) Management

  • What are OUs in Google Workspace Apps
  • Why and How to use them
  • Organizational Units vs Groups
  • Creating/Deleting/Modifying OUs
  • OU based administration
  • Moving users to OUs
  • Q & A

Enhancing User Experience

Attached: materials data >
=====
1.
A plane-wave DFT calculation with PBE+U was carried out for crystalline GdMoBrO4 at its relaxed geometry.

Cell: 6.9759 7.3787 11.2096 Å, 106.30 107.12 92.33°
Closest atoms and distances in Å follow each position.
Atoms (fractional coordinates):
Gd  0.1051  0.3527  0.2307  6 O 2.34-2.53
Gd  0.1420  0.1236  0.7301  4 O 2.34-2.59
Gd  0.8580  0.8764  0.2699  4 O 2.34-2.59
Gd  0.8949  0.6473  0.7693  6 O 2.34-2.53
Mo  0.2361  0.8157  0.1341  4 O 1.78-1.82
Mo  0.2747  0.5910  0.6309  4 O 1.77-1.84
Mo  0.7253  0.4090  0.3691  4 O 1.77-1.84
Mo  0.7639  0.1843  0.8659  4 O 1.78-1.82
Br  0.2419  0.0179  0.4836  2 Gd 2.93-2.95, 2 O 3.24-3.25
Br  0.3029  0.2831  0.0185  2 Gd 2.95-3.02, 2 O 3.13-3.16
Br  0.6971  0.7169  0.9815  2 Gd 2.95-3.02, 2 O 3.13-3.16
Br  0.7581  0.9821  0.5164  2 Gd 2.93-2.95, 2 O 3.24-3.25
O  0.1110  0.0234  0.1819  1 Mo 1.82
O  0.1256  0.6546  0.2005  1 Mo 1.82
O  0.1598  0.7974  0.7006  1 Mo 1.84
O  0.1735  0.7279  0.9607  1 Mo 1.78
O  0.1783  0.5058  0.4559  1 Mo 1.79
O  0.1989  0.4229  0.7032  1 Mo 1.80
O  0.4579  0.3628  0.3227  1 Mo 1.77
O  0.4967  0.1346  0.7931  1 Mo 1.78
O  0.5033  0.8654  0.2069  1 Mo 1.78
O  0.5421  0.6372  0.6773  1 Mo 1.77
O  0.8011  0.5771  0.2968  1 Mo 1.80
O  0.8217  0.4942  0.5441  1 Mo 1.79
O  0.8265  0.2721  0.0393  1 Mo 1.78
O  0.8402  0.2026  0.2994  1 Mo 1.84
O  0.8744  0.3454  0.7995  1 Mo 1.82
O  0.8890  0.9766  0.8181  1 Mo 1.82

Computed properties:
* V: 18.73 A^3/atom
* SG: P-1, No. 2
* ΔE_f: -57.70 kcal/mol of atoms
* final energy: -231.66 eV for the cell shown

---

2.
A plane-wave DFT calculation with PBE+U was carried out for crystalline Na4MgCo2O6 at its relaxed geometry.

Cell: 6.0524 6.1110 6.4062 Å, 93.81 116.20 117.62°
Closest atoms and distances in Å follow each position.
Atoms (fractional coordinates):
Na  0.0000  0.0000  0.0000  3 O 2.23-2.49
Na  0.0681  0.4865  0.4624  5 O 2.35-2.60
Na  0.4990  0.3362  0.5136  5 O 2.32-2.44
Na  0.6990  0.9693  0.4594  4 O 2.32-2.54
Mg  0.3751  0.0203  0.8459  4 O 1.95-2.05
Co  0.5338  0.4695  0.0835  4 O 1.83-1.93
Co  0.9993  0.4986  0.9637  4 O 1.81-2.01
O  0.0183  0.6819  0.7541  1 Co 1.81, 1 Mg 1.96
O  0.2556  0.2772  0.7409  1 Co 1.90, 1 Mg 2.05
O  0.3329  0.5234  0.2260  2 Co 1.90-1.93
O  0.5442  0.1891  0.2002  1 Co 1.93, 1 Mg 1.98
O  0.7011  0.1369  0.7957  1 Co 1.89, 1 Mg 1.95
O  0.9146  0.6804  0.1630  2 Co 1.83-2.01

Computed properties:
* V: 13.62 A^3/atom
* SG: P1, No. 1
* ΔE_f: -38.10 kcal/mol of atoms
* final energy: -64.87 eV for the cell shown

---

3.
A plane-wave DFT calculation with PBE+U was carried out for crystalline FeOF at its relaxed geometry.

Cell: 9.4661 3.0856 14.2357 Å, 90.00 90.06 90.00°
Closest atoms and distances in Å follow each position.
Atoms (fractional coordinates):
Fe  0.0000  0.0000  0.0000  1 O 1.87, 5 F 2.01-2.04
Fe  0.0040  0.0000  0.3357  4 O 1.99-2.00, 2 F 2.13-2.20
Fe  0.0151  0.0000  0.6569  3 O 1.94, 2 F 2.14
Fe  0.2536  0.5000  0.1889  3 O 1.89-1.93
=====
So much for the materials data >

  • Customizing Look & Feel of your Google Workspace
  • Setting the Default Language & Time zone
  • Understanding Contact Sharing
  • Name Change Flexibility
  • Offline Gmail, Calendar and Docs
    Gmail Labs
  • Voice & Video Chat
  • MS Outlook Connector
  • Email & Calendar Delegation
  • Themes
  • Read Receipts
  • Q & A

Multiple Domains Management

  • Understanding Pros & Cons
  • Domain Alias vs. Secondary Domains
  • When & How to use them
  • Deleting Them – RETHINK
  • Q & A

**Between two parts of the article: records of crystals:**
=====
Entry 1:
GdAl8Cu4 | GGA-PBE | relaxed

Cell: 8.814 8.814 5.147 Å, 90.00 90.00 90.00°
Space group I4/mmm (No. 139)
One atom of each set of equivalent atoms:
1 Gd 0.000 0.000 0.000 [2 per cell]
2 Al 0.000 0.220 0.500 [8 per cell]
3 Al 0.000 0.348 0.000 [8 per cell]
4 Cu 0.250 0.250 0.250 [8 per cell]

Values from the calculation:
ΔH_f (0 K) = -0.31 eV/atom
Raw total energy = -129.02 eV per cell
Volume = 15.38 Å³/atom

=====

Entry 2:
PrCr2B6 | GGA-PBE | relaxed

Cell: 3.112 6.593 8.360 Å, 90.00 90.00 90.00°
Space group Immm (No. 71)
One atom of each set of equivalent atoms:
1 Pr 0.000 0.000 0.000 [2 per cell]
2 Cr 0.000 0.500 0.154 [4 per cell]
3 B 0.000 0.138 0.500 [4 per cell]
4 B 0.000 0.235 0.302 [8 per cell]

Values from the calculation:
ΔH_f (0 K) = -0.52 eV/atom
Spin magnetization = 0.01 μB per formula unit
Raw total energy = -137.63 eV per cell
Volume = 9.53 Å³/atom

=====

Entry 3:
Cs2HgPdF6 | GGA-PBE | relaxed

Cell: 9.128 9.128 9.128 Å, 90.00 90.00 90.00°
Space group Fm-3m (No. 225)
One atom of each set of equivalent atoms:
1 Cs 0.250 0.250 0.250 [8 per cell]
2 Hg 0.000 0.000 0.000 [4 per cell]
3 Pd 0.000 0.000 0.500 [4 per cell]
4 F 0.000 0.000 0.257 [24 per cell]

Values from the calculation:
ΔH_f (0 K) = -2.16 eV/atom
Spin magnetization = 1.74 μB per formula unit
Raw total energy = -150.24 eV per cell
Volume = 19.01 Å³/atom

=====

Entry 4:
MgTi4Pb2O9F2 | GGA-PBE | relaxed

Cell: 15.614 3.888 11.038 Å, 90.00 134.62 90.00°
Space group Cm (No. 8)
One atom of each set of equivalent atoms:
1 Mg 0.000 0.000 0.000 [2 per cell]
2 Ti 0.184 0.500 0.096 [2 per cell]
3 Ti 0.222 0.000 0.356 [2 per cell]
4 Ti 0.284 0.500 0.962 [2 per cell]
5 Ti 0.311 0.000 0.768 [2 per cell]
6 Pb 0.489 0.500 0.657 [2 per cell]
7 Pb 0.494 0.000 0.311 [2 per cell]
8 O 0.057 0.000 0.228 [2 per cell]
9 O 0.128 0.500 0.858 [2 per cell]
10 O 0.170 0.000 0.108 [2 per cell]
11 O 0.238 0.500 0.332 [2 per cell]
12 O 0.286 0.000 0.573 [2 per cell]
13 O 0.318 0.500 0.813 [2 per cell]
14 O 0.323 0.000 0.980 [2 per cell]
15 O 0.348 0.500 0.188 [2 per cell]
16 O 0.489 0.000 0.938 [2 per cell]
17 F 0.122 0.000 0.615 [2 per cell]
18 F 0.410 0.000 0.467 [2 per cell]

Values from the calculation:
ΔH_f (0 K) = -2.99 eV/atom
Spin magnetization = 2.02 μB per formula unit
Raw total energy = -271.28 eV per cell
Distance to the lowest polymorph of the same formula = 0.000 eV per atom
Volume = 13.25 Å³/atom

=====

Entry 5:
Zr5AgPb3 | GGA-PBE | relaxed

Cell: 8.8825 8.8825 5.9973 Å, 90.00 90.00 120.00°
Space group P6_3/mcm (No. 193)
One atom of each set of equivalent atoms:
1 Zr 0.0000 0.2795 0.2500 [6 per cell]
2 Zr 0.3333 0.6667 0.0000 [4 per cell]
3 Ag 0.0000 0.0000 0.0000 [2 per cell]
4 Pb 0.0000 0.3774 0.7500 [6 per cell]

Values from the calculation:
ΔH_f (0 K) = -0.25 eV/atom
Raw total energy = -117.86 eV per cell
Volume = 22.77 Å³/atom

=====

Entry 6:
BaEuHfNbO6 | GGA-PBE | relaxed

Cell: 8.301 8.301 8.301 Å, 90.00 90.00 90.00°
Space group F-43m (No. 216)
=====
**So much for the records of crystals:**

Google Workspace Apps Marketplace

  • What is it and why should you care
  • Understanding your requirement and exploring the marketplace
  • Security & SLA regarding marketplace applications
  • Subscribing/Unsubscribing applications from marketplace
  • Accessing Marketplace applications
  • Managing Marketplace applications
  • Q & A

Groups Management

  • Understand Groups in Google Workspace
  • Types & usage of different kind of groups in Google Workspace
  • Methods of Creating Groups
  • Understanding Member, Manager and Owner roles
  • Exploring types of Groups and Settings
  • Using Google Groups as a support portal for intranet/internet
  • Q & A

Mobile Management

  • Understanding Mobile Management with Google Workspace
  • Google Sync
  • Activation Policy
  • Various Mobile Device Management Policies
  • Password Length and Policy
  • Remote Wipe
  • Device Lock
  • Camera Lock
  • Q & A

Reporting in Google Apps

  • Types of Reports
  • Graphical & CSV Reports
  • Understanding Audit Logs
  • Understanding the possibility with Reporting API
  • Q & A